Ed Keelan and Family
My story begins on August of 2001 in the Operating Room. I was a Surgical Tech working with an ENT doc and in the middle of the procedure he looks up at me and says, “You know you have a lump on your neck. You need to get that checked out because that can be cancer.” Now for those people that don’t have an idea about what goes on in the operating room let me tell you this. I was “Scrubbed in” and that means sterile I couldn’t do the first thing that came to my mind and that was grab my neck. So, I was pale white and I had to deal with everyone in the room coming over and checking this out, they all had to come over and go, “Wow! You do, and you never noticed it.”
### The article is interrupted by records of crystals
┌──
Model w:
The following is a DFT calculation (PBE) of a geometry-optimized RbCdPO structure.

```
RbCdPO
1.0
-0.3274 -0.3104 -5.0719
4.2920 -0.9623 -0.2181
-1.6438 -7.4590 0.5626
Cd O P Rb
2 2 2 2
Direct
0.7500 0.5000 0.2549
0.2500 0.5000 0.7451
0.0000 0.5000 0.5000
0.5000 0.5000 0.5000
0.7500 0.0000 0.0595
0.2500 0.0000 0.9405
0.2500 0.0000 0.3585
0.7500 0.0000 0.6415
```

Properties
* symmetry: No. 51
* volume: 21.47 Å³/atom

Model x:
The following is a DFT calculation (PBE) of a geometry-optimized RbCdPO structure.

```
RbCdPO
1.0
-0.9681 3.2281 0.3760
-9.0678 -2.5047 -1.8428
-0.8641 -0.8962 5.4702
Cd O P Rb
2 2 2 2
Direct
0.0000 0.7238 0.4803
0.0000 0.2762 0.9803
0.5000 0.8616 0.4812
0.5000 0.1384 0.9812
0.0000 0.4776 0.3110
0.0000 0.5224 0.8110
0.5000 0.1401 0.4815
0.5000 0.8599 0.9815
```

Properties
* symmetry: No. 26
* volume: 22.80 Å³/atom

Which structure is the least stable? The one labeled model w.

Model w:
The following is a DFT calculation (PBE) of a geometry-optimized RbCdPO structure.

```
RbCdPO
1.0
-2.9333 1.6391 2.6630
0.5728 -3.3078 2.6670
8.0294 5.6952 5.3390
Cd O P Rb
2 2 2 2
Direct
0.7500 0.2500 0.5000
0.2500 0.7500 0.5000
0.7500 0.2500 0.0000
0.2500 0.7500 0.0000
0.7500 0.7500 0.3605
0.2500 0.2500 0.6395
0.2500 0.2500 0.1512
0.7500 0.7500 0.8488
```

Properties
* symmetry: No. 129
* volume: 25.73 Å³/atom

Model x:
The following is a DFT calculation (PBE) of a geometry-optimized RbCdPO structure.

```
RbCdPO
1.0
4.4813 0.0000 0.0000
0.0000 4.4813 0.0000
0.0000 0.0000 11.0493
Cd O P Rb
2 2 2 2
Direct
0.0000 0.5000 0.0545
0.5000 0.0000 0.9455
0.0000 0.0000 0.0000
0.5000 0.5000 0.0000
0.0000 0.5000 0.2878
0.5000 0.0000 0.7122
0.0000 0.0000 0.5000
0.5000 0.5000 0.5000
```

Properties
* symmetry: No. 129
* volume: 27.74 Å³/atom

Which structure is the least stable? The one labeled model x.

----------

Record 1
Here is a relaxed structure of AcNd2Cd4 from Alexandria. Energies are from PBE.

Lattice parameters (Å, degrees): 5.4218 5.4218 8.7420 108.07 108.07 90.00
Element x y z (fractional)
Ac1 0.0000 0.0000 0.0000
Nd1 0.7452 0.7452 0.4903
Nd2 0.2548 0.2548 0.5097
Cd1 0.3717 0.8717 0.7435
Cd2 0.8717 0.3717 0.7435
Cd3 0.6283 0.1283 0.2565
Cd4 0.1283 0.6283 0.2565

Output
Total magnetic moment in μB per cell: 0.44
ΔH_f (0 K) in eV/f.u.: -0.94

Record 2
Here is a relaxed structure of AcNd14Cd from Alexandria. Energies are from PBE.

Lattice parameters (Å, degrees): 7.3011 7.3011 10.3986 90.00 90.00 90.00
Element x y z (fractional)
Ac1 0.3751 0.6249 0.0000
Nd1 0.3748 0.6252 0.5000
Nd2 0.8751 0.1249 0.5000
Nd3 0.8752 0.6253 0.0000
Nd4 0.8749 0.6249 0.5000
Nd5 0.3747 0.1248 0.0000
Nd6 0.3751 0.1251 0.5000
Nd7 0.6297 0.8796 0.7519
Nd8 0.6297 0.8796 0.2481
Nd9 0.1204 0.3703 0.7519
Nd10 0.1204 0.3703 0.2481
└──
### The records of crystals stop here
No, and if I did I wouldn’t have had a clue of what to do.
But, two weeks later I was in the Doctor’s office getting this check out.
_Unrelated to this text: calculated crystals_
Entry 1:
{
  "formula": "MnHgAu4",
  "functional": "PBE",
  "state": "relaxed",
  "magmom_total_mub_per_fu": 4.64,
  "e_form_ev_per_atom": 0.16,
  "polymorph_energy_mev_per_atom": 163,
  "cell": [[0.000, 3.909, 3.909], [3.909, 0.000, 3.909], [3.909, 3.909, 0.000]],
  "species": ["Mn", "Hg", "Au", "Au", "Au", "Au"],
  "fractional_positions": [[0.000, 0.000, 0.000], [0.250, 0.250, 0.250], [0.124, 0.625, 0.625], [0.625, 0.124, 0.625], [0.625, 0.625, 0.124], [0.625, 0.625, 0.625]]
}

Entry 2:
{
  "formula": "Pm2TiP3Rh4",
  "functional": "PBE",
  "state": "relaxed",
  "magmom_total_mub_per_fu": 0.00,
  "e_form_ev_per_atom": -1.09,
  "cell": [[4.021, 0.000, 0.000], [0.000, 4.021, 0.000], [0.000, 0.000, 10.486]],
  "species": ["Pm", "Pm", "Ti", "P", "P", "P", "Rh", "Rh", "Rh", "Rh"],
  "fractional_positions": [[0.000, 0.500, 0.235], [0.500, 0.000, 0.765], [0.000, 0.000, 0.500], [0.000, 0.500, 0.864], [0.500, 0.000, 0.136], [0.500, 0.500, 0.500], [0.000, 0.000, 0.000], [0.000, 0.500, 0.639], [0.500, 0.000, 0.361], [0.500, 0.500, 0.000]]
}

Entry 3:
{
  "formula": "Ba2TaRu",
  "functional": "PBE",
  "state": "relaxed",
  "magmom_total_mub_per_fu": 1.27,
  "e_form_ev_per_atom": 1.19,
  "polymorph_energy_mev_per_atom": 931,
  "cell": [[-2.658, 2.658, 3.747], [2.658, -2.658, 3.747], [2.658, 2.658, -3.747]],
  "species": ["Ba", "Ba", "Ta", "Ru"],
  "fractional_positions": [[0.000, 0.000, 0.000], [0.750, 0.250, 0.500], [0.250, 0.750, 0.500], [0.500, 0.500, 0.000]]
}

Entry 4:
{
  "formula": "BaAl3",
  "functional": "PBE",
  "state": "relaxed",
  "magmom_total_mub_per_fu": 0.00,
  "e_form_ev_per_atom": 0.31,
  "cell": [[3.242, -4.995, 0.000], [3.242, 4.995, 0.000], [0.000, 0.000, 3.124]],
  "species": ["Ba", "Al", "Al", "Al"],
  "fractional_positions": [[0.000, 0.000, 0.000], [0.000, 0.500, 0.500], [0.500, 0.000, 0.500], [0.500, 0.500, 0.000]]
}

Entry 5:
{
  "formula": "AgB2PdAu",
  "functional": "PBE",
  "state": "relaxed",
  "magmom_total_mub_per_fu": 0.00,
  "e_form_ev_per_atom": 0.19,
  "polymorph_energy_mev_per_atom": 5,
  "cell": [[2.865, 0.000, 0.000], [-1.424, 2.783, 0.000], [-1.229, -0.994, 8.411]],
  "species": ["Ag", "B", "B", "Pd", "Au"],
  "fractional_positions": [[0.000, 0.000, 0.000], [0.096, 0.700, 0.521], [0.831, 0.110, 0.530], [0.510, 0.291, 0.730], [0.496, 0.729, 0.276]]
}

Entry 6:
{
  "formula": "LiAl4Zn2",
  "functional": "PBE",
  "state": "relaxed",
  "magmom_total_mub_per_fu": 0.00,
  "e_form_ev_per_atom": 0.02,
  "polymorph_energy_mev_per_atom": 0,
  "cell": [[7.922, 0.000, 0.000], [0.000, 7.922, 0.000], [0.000, 0.000, 4.001]],
  "species": ["Li", "Li", "Al", "Al", "Al", "Al", "Al", "Al", "Al", "Al", "Zn", "Zn", "Zn", "Zn"],
Now, some of you know what comes next. Time for a needle Biopsy, now for those who have had this done you know the whole thing and wouldn’t wish this fun little adventure on anyone. Those who haven’t had this done this is pretty scary. They told me don’t move, talk, or anything as we shove a needle in your throat.
Of course this came back showing up nothing. So, my endocrinologist told me, (who happened to have been the Doctor that originally told me to get this checked out’s wife. Talk about keeping it in the family.) we could either keeping getting Needle Biopsies every couple of months or we could get it taken out.
The decision was simple on that one. I eventually went under the knife and after a five hour surgery they did a subtotal-Thyroidectomy. (Removal of part of my thyroid.) My thyroid was about the size of and apple, which is not normal. Then we later found out that it had Follicular Cancer. The good thing was that it was caught very early, that Doc that told me to get it checked out still and will always rock in my book. So after my Surgery the rest of my treatment consisted of one dose of I-131 radiation, and then figuring out my Synthroid levels.
Here the page breaks off for calculated crystals.
Record 1
Here is an optimized crystal structure of Ru2Rh from the Alexandria database. Energies are from PBEsol.

VASP energy = -113.167 eV/cell
calculated density = 12.6 Mg/m³
ΔH_f (0 K) = 0.064 eV/atom
ΔE to the lowest computed polymorph = 62 meV/atom

Cell and atoms, written as extended XYZ:
```
12
Lattice="3.7685 0.0000 0.0000 0.0000 3.7685 0.0000 -1.8842 -1.8842 11.2827" Properties=species:S:1:pos:R:3 pbc="T T T"
Ru 1.8842 0.0000 3.7678
Rh 0.0000 1.8842 3.7856
Ru 1.8842 0.0000 7.5149
Ru 0.0000 1.8842 0.0218
Ru 1.8842 1.8842 5.6631
Rh 0.0000 1.8842 7.4971
Ru 0.0000 1.8842 11.2609
Ru 0.0000 0.0000 5.6196
Rh 1.8842 1.8842 9.4269
Rh 0.0000 0.0000 1.8558
Ru 1.8842 1.8842 1.8735
Ru 0.0000 0.0000 9.4092
```

---

Record 2
Here is an optimized crystal structure of RuRh2 from the Alexandria database. Energies are from PBEsol.

VASP energy = -26.437 eV/cell
calculated density = 12.7 Mg/m³
ΔH_f (0 K) = 0.004 eV/atom
ΔE to the lowest computed polymorph = 0 meV/atom

Cell and atoms, written as extended XYZ:
```
3
Lattice="-1.9865 1.4530 -1.0215 -1.7538 -1.8472 0.7830 1.2725 2.8667 5.0788" Properties=species:S:1:pos:R:3 pbc="T T T"
Ru 0.0000 0.0000 0.0000
Rh -0.4028 1.7992 3.3425
Rh -2.0650 0.6733 1.4977
```

---

Record 3
Here is an optimized crystal structure of Ru2Rh from the Alexandria database. Energies are from PBEsol.

VASP energy = -28.303 eV/cell
calculated density = 12.6 Mg/m³
ΔH_f (0 K) = 0.060 eV/atom
ΔE to the lowest computed polymorph = 58 meV/atom

Cell and atoms, written as extended XYZ:
```
3
Lattice="-0.0320 1.0940 2.4243 2.6763 -2.3994 1.1180 1.4912 3.2599 -2.9105" Properties=species:S:1:pos:R:3 pbc="T T T"
Ru 1.8587 1.7225 -0.7528
Ru 2.2769 0.2320 1.3845
Rh 0.0000 0.0000 0.0000
```

---

Record 4
Here is an optimized crystal structure of RuRh2 from the Alexandria database. Energies are from PBEsol.

VASP energy = -26.396 eV/cell
calculated density = 12.7 Mg/m³
ΔH_f (0 K) = 0.018 eV/atom
ΔE to the lowest computed polymorph = 14 meV/atom

Cell and atoms, written as extended XYZ:
```
3
Lattice="-0.1359 1.5124 -2.1858 -2.2038 -1.1283 0.9767 -1.0539 5.2740 3.7147" Properties=species:S:1:pos:R:3 pbc="T T T"
Ru 0.0000 0.0000 0.0000
Rh -2.2221 3.2928 2.4165
Rh -1.1715 2.3653 0.0890
```

---

Record 5
Here is an optimized crystal structure of Ru2Rh from the Alexandria database. Energies are from PBEsol.

VASP energy = -28.338 eV/cell
calculated density = 12.6 Mg/m³
ΔH_f (0 K) = 0.049 eV/atom
ΔE to the lowest computed polymorph = 46 meV/atom

Cell and atoms, written as extended XYZ:
```
3
Lattice="-0.5050 -0.7332 2.5125 -1.9263 -1.6281 -0.8623 4.9772 -3.0208 -1.2952" Properties=species:S:1:pos:R:3 pbc="T T T"
Ru 1.2757 -1.4250 -0.1594
Rh -1.2157 -1.1807 0.8251
Ru 1.2701 -3.9572 0.5144
```

---

Record 6
Here is an optimized crystal structure of RuRh3 from the Alexandria database. Energies are from PBEsol.

VASP energy = -32.770 eV/cell
calculated density = 12.3 Mg/m³
ΔH_f (0 K) = 0.454 eV/atom

Cell and atoms, written as extended XYZ:
```
4
The one thing I will say about the I-131 experience was that the treatment was easy with the exception of having to be away from people for several days. You were considered radio active which was an interesting thought, and you had to be in a three foot radius of people. You couldn’t even have pets around. I thought that this would be great, I rented a bunch of movies my girlfriend (Now my Wife) at the time went down to Florida to see her sister. This changed when I realized how much as people we need to have human contact. By the end of the three days I was begging to just go out and be around people.
Now, eight years later there is not even a trace of Cancer in my body, and I am still trying to figure out where my place is in the area of advocacy. That journey began when I attend the Livestrong Summit that was here in Columbus, Ohio. I will say this I was humbled by the people that I met there. Those were some of the most amazing people that I have ever met and a lot of those people are on this site. I met people that had some pretty crazy battles and now have turned around and gave back to the community that took care of them. I belong to several groups and have learned a lot from the people that I have worked with. I also learned that Livestrong is more then just a word it’s a lifestyle, and I try to do my best to live that way each day that God has given to me.
The other thing that has made this journey an interesting one is that I left Surgery and I now work in Endoscopy doing Colonoscopies and EGDs all day. This also means I come in contact with a cancer patient almost ever day and now I have at least some understanding of what some of them may be going through. Does it make me a better medical professional probably not, but it gives me that added compassion to care for that patient as well as an immediate connection with them. Yeah, I know I got the cancer that if you had the choice this is the one that you want but when I see that Yellow Bracelet around their wrist and I feel like there’s a bond there. So I do what I can to make their time that they are with me just a little bit easier. I have even done what I could to educate some of the Doctors that have to deal with giving a diagnosis to patients that just found out that they have Cancer. Also, I have been involved with the Pelotonia and a lot of the other Cancer events that go on in the city.
Also, I write and you write what you know, and my current book that I am working on the main character is involved in the cancer community as an advocate but I don’t want to give much more away than that.
But in the end it all comes down to being a Survivor and taking care of those that are going through the fight of their lives and helping those the only way we know how. If it means showing those people what’s out there. It may be taking a friend that just found out that their Cancer has gotten worse back to Church for the first time in a long time, or just listening to that person that needs someone to talk too. Whatever it is we need to give back to the community and take care of our own.